• Activity:
Repeat the part of the notes further below that starts with the line with "92.00 92.00" and stops after the one with "(0.7156, 0.9563,".

• Data:
'''
UH2Se2O9 | PBE-GGA | relaxed

Cell: 8.4177 8.4177 5.9503 Å, 92.00 92.00 100.79°
Last column: nearest neighbours and their distance in Å.
Sites, in units of the cell vectors:
U (0.1931, 0.8069, 0.7500)  2 O 1.80
U (0.8069, 0.1931, 0.2500)  2 O 1.80
H (0.0191, 0.1007, 0.8376)  1 O 0.99
H (0.1007, 0.0191, 0.3376)  1 O 0.99
H (0.8993, 0.9809, 0.6624)  1 O 0.99
H (0.9809, 0.8993, 0.1624)  1 O 0.99
Se (0.2333, 0.3970, 0.0492)  3 O 1.69-1.70
Se (0.3970, 0.2333, 0.5492)  3 O 1.69-1.70
Se (0.6030, 0.7667, 0.4508)  3 O 1.69-1.70
Se (0.7667, 0.6030, 0.9508)  3 O 1.69-1.70
O (0.0040, 0.9960, 0.7500)  2 H 0.99
O (0.0437, 0.2844, 0.0157)  1 Se 1.70, 1 H 1.82
O (0.0854, 0.7094, 0.5007)  1 U 1.80
O (0.2279, 0.5661, 0.9057)  1 Se 1.69
O (0.2844, 0.0437, 0.5157)  1 Se 1.70, 1 H 1.82
O (0.2906, 0.9146, 0.9993)  1 U 1.80
O (0.3021, 0.3704, 0.4254)  1 Se 1.70
O (0.3704, 0.3021, 0.9254)  1 Se 1.70
O (0.4339, 0.7721, 0.5943)  1 Se 1.69
O (0.5661, 0.2279, 0.4057)  1 Se 1.69
O (0.6296, 0.6979, 0.0746)  1 Se 1.70
O (0.6979, 0.6296, 0.5746)  1 Se 1.70
O (0.7094, 0.0854, 0.0007)  1 U 1.80
O (0.7156, 0.9563, 0.4843)  1 Se 1.70, 1 H 1.82
O (0.7721, 0.4339, 0.0943)  1 Se 1.69
O (0.9146, 0.2906, 0.4993)  1 U 1.80
O (0.9563, 0.7156, 0.9843)  1 Se 1.70, 1 H 1.82
O (0.9960, 0.0040, 0.2500)  2 H 0.99

Results
SG   C2/c (15)
Energy of formation   -1.73 eV/atom

=====

# 1
{"formula": "CrBPbO4", "functional": "PBE with a Hubbard U", "state": "relaxed", "sg": "Pnma", "m_tot_mub_per_fu": 3.00, "corrected_energy_ev_per_cell": -224.91, "final_energy_ev_per_atom": -7.3543, "cell": [[6.036, 0.000, 0.000], [0.000, 7.077, 0.000], [0.000, 0.000, 8.217]], "species": ["Cr", "Cr", "Cr", "Cr", "B", "B", "B", "B", "Pb", "Pb", "Pb", "Pb", "O", "O", "O", "O", "O", "O", "O", "O", "O", "O", "O", "O", "O", "O", "O", "O"], "fractional_positions": [[0.000, 0.500, 0.500], [0.500, 0.500, 0.500], [0.500, 0.000, 0.000], [0.000, 0.000, 0.000], [0.250, 0.777, 0.735], [0.250, 0.277, 0.765], [0.750, 0.723, 0.235], [0.750, 0.223, 0.265], [0.250, 0.564, 0.136], [0.750, 0.436, 0.864], [0.250, 0.064, 0.364], [0.750, 0.936, 0.636], [0.050, 0.331, 0.695], [0.550, 0.669, 0.305], [0.450, 0.831, 0.805], [0.950, 0.169, 0.195], [0.250, 0.171, 0.909], [0.750, 0.329, 0.409], [0.750, 0.829, 0.091], [0.250, 0.671, 0.591], [0.250, 0.896, 0.120], [0.750, 0.104, 0.880], [0.250, 0.396, 0.380], [0.750, 0.604, 0.620], [0.050, 0.831, 0.805], [0.550, 0.169, 0.195], [0.450, 0.331, 0.695], [0.950, 0.669, 0.305]]}



# 2
{"formula": "LiCr2P3O12", "functional": "PBE with a Hubbard U", "state": "relaxed", "sg": "Cc", "m_tot_mub_per_fu": 4.00, "corrected_energy_ev_per_cell": -282.48, "final_energy_ev_per_atom": -7.1666, "cell": [[4.269, 7.390, 0.000], [-4.269, 7.390, 0.000], [0.000, 4.882, 6.978]], "species": ["Li", "Li", "Cr", "Cr", "Cr", "Cr", "P", "P", "P", "P", "P", "P", "O", "O", "O", "O", "O", "O", "O", "O", "O", "O", "O", "O", "O", "O", "O", "O", "O", "O", "O", "O", "O", "O", "O", "O"], "fractional_positions": [[0.468, 0.007, 0.492], [0.007, 0.468, 0.992], [0.640, 0.140, 0.073], [0.140, 0.640, 0.573], [0.360, 0.856, 0.917], [0.856, 0.360, 0.417], [0.247, 0.460, 0.246], [0.748, 0.536, 0.749], [0.038, 0.962, 0.741], [0.460, 0.247, 0.746], [0.536, 0.748, 0.249], [0.962, 0.038, 0.241], [0.555, 0.914, 0.258], [0.495, 0.193, 0.931], [0.802, 0.500, 0.567], [0.874, 0.994, 0.923], [0.123, 0.003, 0.055], [0.003, 0.123, 0.555], [0.500, 0.802, 0.067], [0.079, 0.440, 0.240], [0.376, 0.690, 0.433], [0.233, 0.943, 0.729], [0.994, 0.874, 0.423], [0.298, 0.624, 0.063], [0.731, 0.580, 0.241], [0.624, 0.298, 0.563], [0.943, 0.233, 0.229], [0.193, 0.495, 0.431], [0.914, 0.555, 0.758], [0.060, 0.766, 0.747], [0.580, 0.731, 0.741], [0.265, 0.413, 0.758], [0.440, 0.079, 0.740], [0.690, 0.376, 0.933], [0.766, 0.060, 0.247], [0.413, 0.265, 0.258]]}



# 3
'''

• Outcome:
Cell: 8.4177 8.4177 5.9503 Å, 92.00 92.00 100.79°
Last column: nearest neighbours and their distance in Å.
Sites, in units of the cell vectors:
U (0.1931, 0.8069, 0.7500)  2 O 1.80
U (0.8069, 0.1931, 0.2500)  2 O 1.80
H (0.0191, 0.1007, 0.8376)  1 O 0.99
H (0.1007, 0.0191, 0.3376)  1 O 0.99
H (0.8993, 0.9809, 0.6624)  1 O 0.99
H (0.9809, 0.8993, 0.1624)  1 O 0.99
Se (0.2333, 0.3970, 0.0492)  3 O 1.69-1.70
Se (0.3970, 0.2333, 0.5492)  3 O 1.69-1.70
Se (0.6030, 0.7667, 0.4508)  3 O 1.69-1.70
Se (0.7667, 0.6030, 0.9508)  3 O 1.69-1.70
O (0.0040, 0.9960, 0.7500)  2 H 0.99
O (0.0437, 0.2844, 0.0157)  1 Se 1.70, 1 H 1.82
O (0.0854, 0.7094, 0.5007)  1 U 1.80
O (0.2279, 0.5661, 0.9057)  1 Se 1.69
O (0.2844, 0.0437, 0.5157)  1 Se 1.70, 1 H 1.82
O (0.2906, 0.9146, 0.9993)  1 U 1.80
O (0.3021, 0.3704, 0.4254)  1 Se 1.70
O (0.3704, 0.3021, 0.9254)  1 Se 1.70
O (0.4339, 0.7721, 0.5943)  1 Se 1.69
O (0.5661, 0.2279, 0.4057)  1 Se 1.69
O (0.6296, 0.6979, 0.0746)  1 Se 1.70
O (0.6979, 0.6296, 0.5746)  1 Se 1.70
O (0.7094, 0.0854, 0.0007)  1 U 1.80
O (0.7156, 0.9563, 0.4843)  1 Se 1.70, 1 H 1.82